0.9 "Back to Basics" Update


== Here the piece breaks off for calculated molecules ==
{"formula": "C23H48AlBCl4F3KLiN2O10S", "method": "ωB97M-V with the def2-TZVPD basis set", "symbols": ["C", "C", "O", "C", "C", "O", "C", "B", "C", "O", "C", "C", "O", "C", "N", "H", "H", "H", "H", "H", "H", "H", "H", "H", "H", "H", "H", "H", "H", "H", "H", "H", "H", "H", "K", "C", "Cl", "Cl", "Cl", "H", "Li", "O", "H", "C", "C", "C", "N", "C", "C", "C", "C", "C", "C", "H", "H", "H", "H", "H", "H", "H", "H", "H", "H", "H", "H", "H", "H", "H", "H", "H", "H", "H", "H", "C", "C", "O", "C", "H", "H", "H", "H", "H", "H", "O", "H", "Al", "Cl", "C", "F", "F", "F", "S", "O", "O", "O"], "xyz": [[4.996620, 0.940002, -0.123652], [4.146148, 1.231802, -1.463107], [4.832577, 2.134464, -2.327194], [4.311949, 2.105970, -3.682340], [2.827640, 2.678788, -3.833680], [2.698840, 4.106971, -3.626467], [2.472447, 4.433576, -2.226023], [0.894184, 4.454278, -1.784181], [0.292919, 2.976218, -1.364130], [-0.643916, 2.419967, -2.342878], [-1.026970, 1.075064, -1.946015], [-0.458904, -0.003737, -2.985414], [0.826221, 5.304059, -0.522569], [-0.371346, 5.941559, -0.412291], [-1.522615, 6.235901, -0.424705], [5.733251, 0.100121, -0.277131], [5.534885, 1.916664, 0.162643], [4.287276, 0.706592, 0.748984], [3.830219, 0.283230, -1.996215], [3.179096, 1.722362, -1.089471], [5.075781, 2.604354, -4.346086], [4.262262, 1.007080, -4.003072], [2.080759, 2.058002, -3.224616], [2.523164, 2.485695, -4.948321], [3.101807, 3.803011, -1.501818], [2.863364, 5.502043, -2.085121], [0.264989, 4.917388, -2.687549], [-0.293374, 3.106069, -0.385676], [1.090905, 2.186524, -1.164134], [-0.678743, 0.829280, -0.889665], [-2.166435, 0.977991, -1.933397], [0.034300, -0.896865, -2.489537], [-1.339189, -0.383992, -3.584617], [0.268464, 0.446699, -3.739529], [1.987897, 3.317992, -6.035642], [-4.436901, 3.179378, -2.951628], [-3.283357, 4.225750, -2.133737], [-4.947938, 1.877050, -1.876573], [-5.859223, 4.093055, -3.532137], [-3.942836, 2.739018, -3.814895], [4.876403, 2.328288, 2.177390], [5.115104, 0.219483, -6.268331], [5.919826, 0.148308, -5.756659], [-3.451852, 2.374337, 2.572876], [-4.027783, 1.285558, 1.676063], [-4.136752, -0.119975, 2.258813], [-2.823936, -0.809859, 2.666094], [-3.132923, -2.317466, 2.722356], [-1.995179, -3.135470, 3.309395], [-1.594319, -2.631752, 4.683998], [-1.257602, -1.151793, 4.631180], [-2.399148, -0.332489, 4.049360], [-1.760718, -0.558527, 1.630473], [-2.366462, 2.298207, 2.662481], [-3.656080, 3.356278, 2.140248], [-3.896249, 2.348376, 3.570686], [-3.481371, 1.265203, 0.727884], [-5.046621, 1.590876, 1.414967], [-4.593095, -0.757862, 1.497646], [-4.793415, -0.134329, 3.131389], [-4.032408, -2.433070, 3.334836], [-3.356216, -2.643552, 1.704627], [-2.310718, -4.181195, 3.384163], [-1.126733, -3.128998, 2.641176], [-0.737188, -3.199223, 5.055303], [-2.415923, -2.798973, 5.388664], [-0.340524, -0.996737, 4.053180], [-1.045895, -0.794466, 5.643475], [-2.096524, 0.709455, 3.973049], [-3.277884, -0.400549, 4.695105], [-1.498096, 0.498287, 1.638310], [-2.158010, -0.850787, 0.657452], [-0.875773, -1.145305, 1.863053], [6.680327, -4.316293, -2.228727], [7.258968, -2.950523, -1.923526], [7.155332, -2.041872, -2.704899], [7.967175, -2.759727, -0.610984], [6.201669, -4.295914, -3.210485], [7.484729, -5.071358, -2.246604], [5.931891, -4.581934, -1.478804], [8.827324, -3.431474, -0.545329], [7.276716, -2.949188, 0.214190], [8.321948, -1.730570, -0.543395], [-6.906170, -1.129507, 2.590899], [-6.820348, -0.176657, 2.654858], [8.575904, -6.562803, -2.272620], [-5.416411, 6.350082, -2.812244], [-5.583042, -5.334104, 2.430463], [-4.602941, -4.856615, 1.621096], [-6.181544, -4.251764, 2.976802], [-6.503914, -5.897020, 1.618852], [-4.916775, -6.508057, 3.703845], [-3.950942, -5.707635, 4.456730], [-4.314157, -7.583515, 2.930551], [-6.077307, -6.913433, 4.476165]], "forces_ev_per_angstrom": [[-0.29, 0.64, -0.33], [-0.93, 0.63, 0.96], [-0.43, -0.76, 0.46], [-0.74, -1.03, -0.32], [0.84, -1.23, 0.12], [0.22, -2.08, -0.21], [0.44, 1.48, 1.58], [0.41, -1.21, -0.54], [-0.65, -0.21, 0.63], [0.42, -1.39, 1.19], [-0.09, -0.46, -0.51], [-0.43, -0.01, -0.19], [-2.99, 2.72, 0.83], [-0.33, -2.04, -0.77], [3.39, -0.32, 0.33], [-0.65, 1.09, 0.45], [-0.26, -1.13, -0.74], [0.61, -0.21, -1.21], [0.65, 0.82, 0.62], [1.07, -0.63, -0.58], [-1.00, -0.38, 0.83], [0.15, 1.41, -0.04], [0.97, 1.03, -0.52], [3.49, -3.38, 7.98], [-0.45, 0.57, -1.30], [-0.37, -1.40, -0.40], [-0.35, 0.25, -0.25], [0.70, -0.27, -0.98], [-0.67, 0.69, -0.13], [-0.27, 0.46, -1.25], [1.42, 0.35, -0.05], [-0.58, 1.09, -0.53], [1.09, 0.23, 0.55], [-0.87, -0.42, 1.20], [-3.06, 4.68, -6.71], [1.08, -0.03, 0.69], [-0.16, -0.33, -0.19], [-0.26, 0.04, -0.21], [-0.13, 0.16, -0.01], [-0.27, 0.12, -0.02], [-0.05, -0.02, -0.40], [-0.80, 0.30, 0.10], [0.40, 0.00, 0.16], [0.02, 0.17, -0.07], [0.17, 0.14, 0.08], [0.20, 0.10, -0.41], [-0.22, -0.05, -0.04], [0.12, -0.16, 0.18], [0.13, -0.12, -0.03], [0.00, -0.13, 0.10], [0.08, -0.16, 0.12], [0.29, -0.10, -0.12], [-0.31, 0.01, 0.47], [0.00, 0.05, 0.10], [0.02, -0.07, 0.05], [0.06, 0.01, -0.02], [-0.06, -0.01, 0.02], [0.01, -0.30, 0.01], [0.02, -0.11, 0.29], [0.18, -0.22, -0.04], [-0.01, 0.10, -0.16], [-0.12, 0.20, 0.12], [-0.28, 0.12, -0.08], [0.00, 0.03, -0.03], [-0.10, 0.02, 0.01], [0.03, -0.04, -0.07], [-0.01, 0.05, -0.03], [-0.10, 0.19, -0.13], [-0.22, -0.01, -0.12], [0.01, -0.06, -0.19], [-0.09, -0.04, -0.06], [0.03, 0.05, 0.11], [-0.14, -0.05, 0.00], [-0.79, 0.44, -0.41], [0.45, 0.85, -0.12], [-0.22, -0.41, 0.01], [-0.07, 0.14, 0.10], [0.15, -0.09, 0.03], [-0.58, 0.80, 0.18], [0.20, -0.28, 0.07], [-0.05, -0.06, 0.20], [0.15, -0.20, 0.07], [0.01, -0.15, -0.07], [0.30, -0.28, -0.12], [-0.30, 0.52, 0.04], [0.74, -1.10, -0.10], [-0.32, 0.09, -0.12], [-0.92, 0.37, -0.31], [0.19, -0.04, 0.09], [0.45, -0.42, 0.03], [0.52, -0.03, 0.41], [0.22, -1.52, 1.15], [-0.20, 0.45, -0.65], [-0.21, 0.84, -0.18], [0.29, 0.64, -0.63]], "charge": 1}
Exoblast is a mix of shoot’em up and arcade game, pimped with synthwave and pixelart. Choose your pilot, your ship and join the arena to confront other players in nervous and punitive matches. Impose your gameplay and reach the top of the tower!
'''
w:
{"formula": "C5H15N2O", "method": "the ωB97M-V functional and the def2-TZVPD basis", "homo_energy_ev": -13.14, "charge": 1, "homo_lumo_gap_ev": 5.37, "symbols": ["N", "C", "C", "N", "C", "C", "C", "O", "H", "H", "H", "H", "H", "H", "H", "H", "H", "H", "H", "H", "H", "H", "H"], "xyz": [[-3.50601, -0.60224, -1.18879], [-1.76403, -0.71038, 0.77170], [-0.75824, -0.17588, -0.16786], [0.50791, 0.15794, 0.37984], [0.54824, 0.93740, 1.60785], [1.44264, 0.65417, -0.63459], [2.84883, 0.11893, -0.43025], [2.75333, -1.30410, -0.47339], [-4.36691, -0.12912, -0.94026], [-3.87187, -1.38894, -1.72058], [-2.84207, -0.93045, -0.45530], [-1.33776, -1.33396, 1.56782], [-2.52236, -0.04483, 1.16554], [-0.54769, -0.84629, -1.01770], [-1.20230, 0.71347, -0.64724], [0.26286, 1.98271, 1.40201], [-0.17009, 0.56376, 2.33545], [1.55483, 0.96647, 2.01308], [1.45085, 1.75501, -0.62020], [1.08020, 0.35118, -1.61697], [3.41460, 0.43208, -1.31596], [3.37289, 0.47219, 0.45928], [3.65216, -1.63910, -0.47349]]}

=====

x:
{"formula": "C5H15N2O", "method": "the ωB97M-V functional and the def2-TZVPD basis", "homo_energy_ev": -12.88, "charge": 1, "homo_lumo_gap_ev": 9.95, "symbols": ["C", "O", "C", "C", "H", "H", "H", "H", "H", "H", "H", "H", "C", "C", "N", "N", "H", "H", "H", "H", "H", "H", "H"], "xyz": [[-0.63498, -1.41709, -1.76471], [-1.06187, -0.07743, -2.11279], [-0.82165, -1.61521, -0.26414], [0.35572, -2.32039, 0.39830], [-1.23035, -2.13321, -2.32659], [0.41861, -1.54277, -2.04693], [-1.09218, -0.02898, -3.07515], [-1.01411, -0.63845, 0.19556], [-1.71998, -2.19949, -0.09016], [1.29724, -1.76962, 0.31949], [0.15966, -2.48109, 1.44969], [0.54323, -3.29589, -0.05082], [0.37139, 1.69136, 1.66048], [0.44664, 2.12417, 0.40473], [0.86823, 1.21498, -0.66788], [0.08397, 2.47384, 2.74627], [0.63271, 0.67049, 1.90214], [0.21434, 3.12505, 0.07321], [1.66231, 1.57887, -1.20215], [1.15245, 0.31261, -0.28439], [0.08566, 0.99735, -1.32841], [-0.38386, 3.34832, 2.54340], [-0.33318, 1.98258, 3.52085]]}

=====

Most stable: x (next structure +471.2 kJ/mol)

=====

w:
'''

[h1]Version 0.9 “Back to Basics” is here![/h1] [h2]Welcome back, Pilot![/h2] We're glad to see you back. A lot has [b]changed [/b]since the last time you were here. You may be confused by the drastic decisions we have made, but we will explain them to you. Exoblast is now rolling from version 0.5 to 0.9 because we changed a lot of things and what we wanted for the game, to focus on the main experience of Exoblast “instant fun and simplicity”. Enjoy the game, online or offline with friends, forget about farming and progression and focus on mastery. The development of Exoblast has been going on for almost three years. After trying many things, we found what was the most important and how to exploit it properly. The number one feature of Exoblast is [b]“the simplicity”[/b]. By adding crafting, farming, and progression, the game was more complex without being more fun. At first, we wanted Exoblast to be a “Free To Play”, we decided it is now completely free. Removing everything related to progression allows us to give fair matches between new and old players. Now only skill will make a difference. In order to support the game and the devs, we decided to create purchasable packs, soon available. Those packs will give ship Skins and will support the game and its becoming, thanks to you. [h2]Removed features[/h2] -The customization of ships is removed. The balance was hard and a lot of unfair matchup was possible because of the variety and freedom of the feature. By pushing back fixed ships, we have a better control of the balance and experience. The modularity was also a big limitation for artists. -The Forge is removed, not required as customization and farming are removed. -Currencies, the shop button, and inventory are removed. [h2]New features[/h2] - This update comes with 6 different ships, all of them are playable and do not require any unlock. They are [b]all different[/b] to let you choose your play style. We can't wait for you to get your hands on these ships with their unique designs and gameplays! [img]https://cdn.cloudflare.steamstatic.com/steamcommunity/public/images/clans/37945100/9c471a83b7245e26a667be1393aad5b9fffc0a64.gif[/img] - The interface during gameplay has been completely reworked and display more interesting information on the screen. [img]https://cdn.cloudflare.steamstatic.com/steamcommunity/public/images/clans/37945100/08b78b1270abf4e4f574b23ac3e664e9e1e38134.png[/img] The in-game version is a pre 1.0 version. Improvements on the menus will be released for the version 1.0 pretty soon. Thanks for your patience Pilot! See you in the arenas.